<<<
Crystalline Sr2TcHg at its relaxed geometry. Source: Alexandria, functional PBE.

**Calculated total energy**: -11.92 eV/f.u.
**M_tot**: 0.3978 μB per atom

a b c (Å): 5.971 5.971 5.971
angles (deg): 133.62 133.62 67.69
Last column: magnetic moment on the atom in μB.
Atoms (fractional coordinates):
1 Sr 0.250 0.750 0.500  -0.04
2 Sr 0.000 0.000 0.000  -0.04
3 Tc 0.500 0.500 0.000  1.70
4 Hg 0.750 0.250 0.500  -0.05

----------

SmU3N4 | PBE-GGA | optimized geometry

Results
* formation energy from raw total energies: -1.347 eV/atom

Unit cell a=6.0233 b=6.0233 c=3.4692 alpha=90.00 beta=90.00 gamma=109.77
Atoms (fractional coordinates):
1 Sm 0.0000 0.0000 0.0000
2 U 0.0000 0.5000 0.5000
3 U 0.5000 0.0000 0.5000
4 U 0.5000 0.5000 0.0000
5 N 0.2557 0.7443 0.0000
6 N 0.2674 0.2674 0.5000
7 N 0.7326 0.7326 0.5000
8 N 0.7443 0.2557 0.0000

LaP2S6 | PBE-GGA | optimized geometry

Results
* formation energy from raw total energies: -0.633 eV/atom

Unit cell a=7.6647 b=7.6647 c=7.6647 alpha=50.55 beta=50.55 gamma=50.55
Atoms (fractional coordinates):
1 La 0.0000 0.0000 0.0000
2 P 0.2545 0.2545 0.2545
3 P 0.3768 0.3768 0.3768
4 S 0.0697 0.4664 0.6578
5 S 0.1719 0.9639 0.5532
6 S 0.4664 0.6578 0.0697
7 S 0.5532 0.1719 0.9639
8 S 0.6578 0.0697 0.4664
9 S 0.9639 0.5532 0.1719

MgAlAg | PBE-GGA | optimized geometry

Results
* energy of formation from the pure elements: -68.8 meV per atom

Unit cell a=5.0185 b=5.0185 c=5.0185 alpha=143.73 beta=132.67 gamma=61.06
Atoms (fractional coordinates):
1 Mg 0.0000 0.0000 0.0000
2 Al 0.3293 0.3293 0.0000
3 Ag 0.6679 0.6679 0.0000

Number 1: VASP energy -10.332 eV per atom, size of the total moment 4.178 μB per cell. Number 2: VASP energy -5.134 eV per atom, size of the total moment 0.000 μB per cell. Number 3: VASP energy -2.798 eV per atom, size of the total moment 0.000 μB per cell.

----------

Entry 1:
ScMn2TeRh GGA-PBE relaxed; raw total energy = -5.85 eV per atom; formation energy from raw total energies = 1.1781 eV per atom; ρ = 5.928 g/cm³; D(E_F) = 3.57 states/eV/f.u.; spin magnetization = 6.858 μB per formula unit
1.0
4.554 0.000 0.000
0.000 5.206 0.000
0.000 0.000 4.554
Te Rh Mn Sc
1 1 2 1
direct
0.000 0.500 0.000
0.500 0.500 0.500
0.500 0.000 0.000
0.000 0.000 0.500
0.000 0.000 0.000

=====

Entry 2:
Ti2Cd2Ru GGA-PBE relaxed; raw total energy = -4.88 eV per atom; offset from the most stable computed form = 1.623 eV per formula unit; calculated formation energy = 0.5008 eV per atom; ρ = 7.105 g/cm³; D(E_F) = 6.21 states/eV/f.u.; spin magnetization = 0.285 μB per formula unit
1.0
-0.928 3.497 0.597
-3.288 -0.616 -1.503
-4.772 -0.389 6.124
Cd Ti Ru
2 2 1
direct
0.750 0.250 0.500
0.250 0.750 0.500
0.580 0.580 0.840
0.420 0.420 0.160
0.000 0.000 0.000

=====

Entry 3:
CaCrTe GGA-PBE relaxed; raw total energy = -5.21 eV per atom; offset from the most stable computed form = 0.000 eV per formula unit; formation energy from raw total energies = -0.2922 eV per atom; ρ = 4.631 g/cm³; D(E_F) = 1.08 states/eV/f.u.; spin magnetization = 4.208 μB per formula unit
1.0
-0.577 -3.292 -3.210
1.899 -1.061 4.092
-3.843 -0.850 1.563
Cr Te Ca
1 1 1
direct
0.667 0.333 0.501
0.333 0.667 0.499
0.000 0.000 0.000

----------

A plane-wave DFT calculation with PBE-GGA was carried out for a relaxed structure of Tl2InGa2.

Lattice parameters (Å, degrees): 4.5261 6.1209 6.1225 60.07 68.31 68.30
Last column: nearest neighbours and their distance in Å.
Element x y z (fractional)
Tl 0.2926 0.2076 0.7071  6 Ga 3.29-3.30, 4 In 3.60-3.65
Tl 0.7074 0.7924 0.2929  6 Ga 3.29-3.30, 4 In 3.60-3.65
Ga 0.9997 0.7838 0.7168  1 Ga 2.65, 2 In 2.85
Ga 0.0003 0.2162 0.2832  1 Ga 2.65, 2 In 2.85
In 0.5000 0.5000 0.0000  4 Ga 2.85

Values from the calculation:
mass density = 8.28 Mg/m³
SG = No. 71
calculated formation energy = 0.32 eV per formula unit
D(E_F) = 2.3 states/eV/cell
polymorph energy (0 for the lowest one) = 4 meV per atom

----------

1.
>>>
Next, duplicate only the last part of the listing further up, starting with the line that has "Entry 3:".
Entry 3:
CaCrTe GGA-PBE relaxed; raw total energy = -5.21 eV per atom; offset from the most stable computed form = 0.000 eV per formula unit; formation energy from raw total energies = -0.2922 eV per atom; ρ = 4.631 g/cm³; D(E_F) = 1.08 states/eV/f.u.; spin magnetization = 4.208 μB per formula unit
1.0
-0.577 -3.292 -3.210
1.899 -1.061 4.092
-3.843 -0.850 1.563
Cr Te Ca
1 1 1
direct
0.667 0.333 0.501
0.333 0.667 0.499
0.000 0.000 0.000

----------

A plane-wave DFT calculation with PBE-GGA was carried out for a relaxed structure of Tl2InGa2.

Lattice parameters (Å, degrees): 4.5261 6.1209 6.1225 60.07 68.31 68.30
Last column: nearest neighbours and their distance in Å.
Element x y z (fractional)
Tl 0.2926 0.2076 0.7071  6 Ga 3.29-3.30, 4 In 3.60-3.65
Tl 0.7074 0.7924 0.2929  6 Ga 3.29-3.30, 4 In 3.60-3.65
Ga 0.9997 0.7838 0.7168  1 Ga 2.65, 2 In 2.85
Ga 0.0003 0.2162 0.2832  1 Ga 2.65, 2 In 2.85
In 0.5000 0.5000 0.0000  4 Ga 2.85

Values from the calculation:
mass density = 8.28 Mg/m³
SG = No. 71
calculated formation energy = 0.32 eV per formula unit
D(E_F) = 2.3 states/eV/cell
polymorph energy (0 for the lowest one) = 4 meV per atom

----------

1.